Assignment:
The reader should set down only the lines further down with the word "Cu" in them.
File:
/*
[1]
Structure and simulated powder X-ray diffraction pattern of K3MoF6 (a DFT-relaxed cell (PBE+U, Alexandria); Cu Kα X-rays).
No peak broadening, texture or thermal motion is included.

Main lines, in order of rising 2θ (10° ≤ 2θ ≤ 80°):
2θ/deg	intensity
16.7	34.9
19.3	34.4
27.4	100.0
32.3	10.3
39.2	59.5
44.0	13.3
48.5	35.8
51.7	8.3
56.6	33.7
64.1	17.8
71.0	10.0
77.7	19.3

Atomic structure:
```
K3MoF6
1.0
0.000 4.597 4.597
4.597 0.000 4.597
4.597 4.597 0.000
K Mo F
3 1 6
Direct
0.000 0.000 0.000
0.250 0.250 0.250
0.750 0.750 0.750
0.500 0.500 0.500
0.272 0.272 0.728
0.272 0.728 0.272
0.272 0.728 0.728
0.728 0.272 0.272
0.728 0.272 0.728
0.728 0.728 0.272
```

[2]
Structure and simulated powder X-ray diffraction pattern of K2NaMoF8 (a DFT-relaxed cell (PBE+U, Alexandria); Cu Kα X-rays).
No peak broadening, texture or thermal motion is included.

Main lines, in order of rising 2θ (10° ≤ 2θ ≤ 80°):
2θ/deg	intensity
11.2	82.0
14.7	30.2
18.4	35.5
18.5	36.6
22.8	100.0
24.0	58.8
26.8	28.6
27.0	25.8
28.8	31.2
29.1	28.6
41.4	24.4
45.7	29.3

Atomic structure:
```
K2NaMoF8
1.0
4.901 0.000 0.000
0.317 6.040 0.000
0.076 0.066 7.934
K Na Mo F
2 1 1 8
Direct
0.012 0.003 0.228
0.988 0.997 0.772
0.500 0.500 0.000
0.500 0.500 0.500
0.234 0.784 0.997
0.251 0.762 0.502
0.297 0.359 0.674
0.303 0.370 0.321
0.697 0.630 0.679
0.703 0.641 0.326
0.749 0.238 0.498
0.766 0.216 0.003
```

[3]
Structure and simulated powder X-ray diffraction pattern of K2NaMoO3F3 (a DFT-relaxed cell (PBE+U, Alexandria); Cu Kα X-rays).
No peak broadening, texture or thermal motion is included.

Main lines, in order of rising 2θ (10° ≤ 2θ ≤ 80°):
2θ/deg	intensity
17.9	92.5
20.9	25.5
29.4	100.0
29.7	48.7
34.9	19.4
41.5	26.9
42.5	53.7
51.9	19.9
52.5	33.9
60.9	28.3
61.7	14.4
77.1	12.5

Atomic structure:
```
K2NaMoO3F3
1.0
6.013 0.000 0.000
0.000 6.013 0.000
0.000 0.000 8.701
K Na Mo O F
4 2 2 6 6
Direct
0.000 0.500 0.000
0.000 0.500 0.500
0.500 0.000 0.000
0.500 0.000 0.500
0.000 0.000 0.241
0.500 0.500 0.741
0.000 0.000 0.757
0.500 0.500 0.257
0.000 0.000 0.962
0.212 0.212 0.718
0.288 0.712 0.218
0.500 0.500 0.462
0.712 0.288 0.218
0.788 0.788 0.718
0.000 0.000 0.501
0.237 0.763 0.739
0.263 0.263 0.239
0.500 0.500 0.001
0.737 0.737 0.239
0.763 0.237 0.739
```

[4]
Structure and simulated powder X-ray diffraction pattern of K2NaMoO3F3 (a DFT-relaxed cell (PBE+U, Alexandria); Cu Kα X-rays).
No peak broadening, texture or thermal motion is included.

Main lines, in order of rising 2θ (10° ≤ 2θ ≤ 80°):
2θ/deg	intensity
17.9	100.0
21.2	15.7
29.1	48.7
29.6	60.4
29.8	52.2
41.3	29.4
42.0	31.2
43.2	26.8
51.8	21.7
52.2	22.2
60.4	16.0
61.9	15.6

Atomic structure:
```
K2NaMoO3F3
1.0
0.000 4.298 4.369
4.186 0.000 4.369
4.186 4.298 0.000
K Na Mo O F
2 1 1 3 3
Direct
0.000 0.000 0.500
0.500 0.500 0.000
0.260 0.260 0.740
0.744 0.744 0.256
0.540 0.540 0.460
0.570 0.999 0.430
0.999 0.570 0.001
0.000 0.000 0.000
0.524 0.996 0.004
0.996 0.524 0.476
```

[5]
Structure and simulated powder X-ray diffraction pattern of KNaMoO2F4 (a DFT-relaxed cell (PBE+U, Alexandria); Cu Kα X-rays).
No peak broadening, texture or thermal motion is included.

Main lines, in order of rising 2θ (10° ≤ 2θ ≤ 80°):
2θ/deg	intensity
10.5	28.0
18.0	100.0
20.6	59.1
21.0	33.0
29.3	25.1
29.6	59.5
34.6	22.5
41.9	45.0
42.8	17.7
47.4	13.2
52.2	22.1
61.5	20.0

Atomic structure:
```
KNaMoO2F4
1.0
6.093 0.000 0.000
0.000 6.093 0.000
0.000 0.000 8.442
K Na Mo O F
2 2 2 4 8
Direct
0.250 0.750 0.000
0.750 0.250 0.000
0.250 0.250 0.277
0.750 0.750 0.723
0.250 0.250 0.758
0.750 0.750 0.242
0.250 0.250 0.548
0.250 0.250 0.977
0.750 0.750 0.023
0.750 0.750 0.452
0.021 0.021 0.767
0.021 0.479 0.767
0.479 0.021 0.767
0.479 0.479 0.767
0.521 0.521 0.233
0.521 0.979 0.233
0.979 0.521 0.233
0.979 0.979 0.233
```

[6]
Structure and simulated powder X-ray diffraction pattern of K5Mo4O14F (a DFT-relaxed cell (PBE+U, Alexandria); Cu Kα X-rays).
No peak broadening, texture or thermal motion is included.
*/
Written answer:
Structure and simulated powder X-ray diffraction pattern of K3MoF6 (a DFT-relaxed cell (PBE+U, Alexandria); Cu Kα X-rays).
Structure and simulated powder X-ray diffraction pattern of K2NaMoF8 (a DFT-relaxed cell (PBE+U, Alexandria); Cu Kα X-rays).
Structure and simulated powder X-ray diffraction pattern of K2NaMoO3F3 (a DFT-relaxed cell (PBE+U, Alexandria); Cu Kα X-rays).
Structure and simulated powder X-ray diffraction pattern of K2NaMoO3F3 (a DFT-relaxed cell (PBE+U, Alexandria); Cu Kα X-rays).
Structure and simulated powder X-ray diffraction pattern of KNaMoO2F4 (a DFT-relaxed cell (PBE+U, Alexandria); Cu Kα X-rays).
Structure and simulated powder X-ray diffraction pattern of K5Mo4O14F (a DFT-relaxed cell (PBE+U, Alexandria); Cu Kα X-rays).